1. WHEN morning came, Brahma and Yu-tiv rose early, and came and spake together, in joy greeting, and they were moved to shake hands, though such a proceeding was not according to the fashion of the country, save betwixt relatives. And it came to pass that they were much together during the day, and in the evening they walked together, but touched not one the other.
2. Now on the second day, when they walked together, they held hands. And on the third day they joined arms. And on the fourth day they kissed each other. And after that they were only separated at night when they slept. But it came to pass that they were so delighted with each other that they sat up nearly all night, so as not to be separate.
3. And all the while they neglected p. 346b not their devotion to Ormazd; but finally they sat up all night, sleeping not, save in each other's arms.
4. Yu-tiv said: Since we sit up all night, it is wiser to sit on mats than on stools. Brahma said: It is wiser. So they provided mats, half raised and half spread down, for a season, and finally laid the mats full length, and they laid down together. More than that, history saith not.
5. But Brahma followed his trade in that country, and it came to pass they had a son born to them, and his name was Whe-ish; and in time another son, and his name was Vus, and then Git-un, and Vede, and Oos, and Sa-it.
6. Now after they lived together as man and wife, the voice of Ormazd came not to Brahma; though the angel of Ormazd remained, and at times talked to both Brahma and Yu-tiv, his wife. Now during all the time, until after the birth of the sixth son, Yu-tiv had faith in Ormazd, and was a Faithist in her whole heart. But during all these years she had only communion with the angels, and withal had suffered many hardships in common with Brahma.
7. And their love abated not one jot or tittle, and Yu-tiv believed in her husband, and encouraged his aspirations. He had said to her ten thousand times: I know Ormazd will come; through me will He deliver the Faithists out of bondage.
8. And she believed in him; and believed these things would come to pass, and believed her sons would have the Voice of the Creator with them also. But after the birth of the sixth child, Yu-tiv lost faith in the Father! She said: All my life I have been in error. There is no All Person. There is no Voice, save the spirits of the dead. And they know little more of heaven than we. The Creator is dumb, like the wind; His voice is like the wind, it speaketh nothing.
-- begin --
The following is a quantum chemistry calculation of a 3-piece molecular cluster, C12H30FN2O8PS2 overall at a distorted geometry, from the OMol25 dataset.

Calculated values
- SMILES: CC[C@@H](F)OC(=O)N(N)P(C)C.CCOS(C)(=O)=O.CCOS(C)(=O)=O
- Orbital gap: 8.3686 eV

The geometry in XYZ format:
```
56
C12H30FN2O8PS2, DFT ωB97M-V/def2-TZVPD
C 2.494 -2.461 -0.667
C 3.001 -3.809 -0.146
C 3.482 -3.656 1.278
F 2.432 -3.918 2.126
O 4.481 -4.577 1.624
C 5.779 -4.176 1.427
O 6.527 -4.847 0.731
N 6.234 -3.022 2.106
N 5.593 -2.824 3.373
P 6.370 -1.536 1.119
C 4.862 -0.473 1.358
C 6.445 -2.046 -0.636
H 1.737 -2.572 -1.427
H 3.318 -1.832 -0.984
H 2.018 -1.942 0.160
H 2.151 -4.478 -0.120
H 3.765 -4.230 -0.784
H 3.784 -2.636 1.496
H 4.600 -3.019 3.342
H 5.745 -1.882 3.698
H 4.101 -0.881 2.011
H 5.216 0.482 1.709
H 4.378 -0.304 0.399
H 5.691 -2.764 -0.954
H 7.407 -2.519 -0.769
H 6.362 -1.166 -1.256
C -0.800 2.698 -0.255
C -1.795 1.675 -0.763
O -1.533 1.280 -2.132
S -0.326 0.284 -2.396
C -0.729 -0.119 -4.061
O -0.493 -0.873 -1.571
O 0.905 1.010 -2.378
H 0.199 2.274 -0.168
H -1.108 3.055 0.727
H -0.739 3.545 -0.939
H -1.822 0.791 -0.125
H -2.795 2.103 -0.771
H -1.677 -0.648 -4.076
H 0.069 -0.755 -4.437
H -0.782 0.800 -4.639
C -8.378 2.975 2.229
C -7.776 2.180 1.088
O -7.330 3.020 -0.001
S -5.972 3.820 0.191
C -5.755 4.297 -1.489
O -4.946 2.894 0.568
O -6.211 4.984 0.982
H -7.627 3.587 2.727
H -8.809 2.297 2.966
H -9.157 3.642 1.862
H -6.949 1.554 1.427
H -8.524 1.524 0.649
H -5.599 3.407 -2.091
H -4.879 4.942 -1.526
H -6.637 4.842 -1.813
```

---

The following is a quantum chemistry calculation of a 2-piece molecular cluster, C4H11NO3 overall, from the OMol25 dataset.

Calculated values
- SMILES: CC(C)NC(=O)O.O
- Orbital gap: 10.7697 eV
- ΔE to the lowest compared entry with this formula, charge and spin: 6.27 kcal per mole

The geometry in XYZ format:
```
19
C4H11NO3, DFT ωB97M-V/def2-TZVPD
C 0.606 0.484 -1.983
C 0.254 1.311 -0.731
C -1.192 1.783 -0.734
N 0.618 0.627 0.504
C 0.252 -0.598 0.920
O -0.758 -1.200 0.633
O 1.122 -1.037 1.877
H 0.410 1.202 -2.787
H 0.009 -0.405 -2.136
H 1.634 0.112 -1.953
H 1.003 2.104 -0.825
H -1.878 0.975 -1.008
H -1.352 2.605 -1.416
H -1.579 2.177 0.201
H 1.452 0.937 0.969
H 1.118 -2.005 1.870
O -0.345 -3.363 2.251
H -0.836 -3.058 1.478
H -0.536 -2.652 2.871
```

---

no.,DFT total energy (a.u.)
1,-2424.17511
2,-439.51593

* * * * *

A structure of composition C6H25Ba2O7 in a non-equilibrium geometry. Source: the Open Molecules 2025 dataset; level of theory: ωB97M-V/def2-TZVPD.

charge = +3
HOMO = -0.556 Ha
Kohn-Sham gap = 0.1348 hartree
energy relative to the best compared isomer or geometry (same formula, charge and spin) = 689.46 kJ/mol

```
40
C6H25Ba2O7 | the Open Molecules 2025 dataset | ωB97M-V/def2-TZVPD
Ba 14.6232 -10.0799 27.2798
Ba 18.5418 -10.9191 31.3170
O 16.9192 -12.7880 28.2380
H 17.5621 -12.8919 27.5096
C 21.6614 -9.1984 28.0538
O 21.7090 -9.0936 29.4452
H 22.6222 -9.4772 27.6211
H 20.9501 -9.9804 27.7879
-- stop --
9. And after that, she ceased to use the name Ormazd, or Father, but said, Eolin, after the manner of the ancients. And Brahma ceased more to speak in presence of Yu-tiv of the coming of Ormazd to himself; and he also adopted the name Eolin, signifying, like the wind, void of shape or person.
10. Whilst this state of unbelief was upon them, they had another child born to them, and they called his name Hog, signifying, FACT, or without inspiration; p. 347b an animal that rooteth in the ground.
**Data records from another source follow:**
-- begin --
An isolated molecule of C17H27N3O3 in a non-equilibrium geometry, computed with the ωB97M-V functional and the def2-TZVPD basis.

Each atom is followed by the atoms it is bonded to, with distances in Å.
Element x y z (Å)
1 O 5.39821 -4.44307 -0.72639  C6 1.230
2 N -0.26517 5.56142 0.27757  C7 1.303, C8 1.405
3 N -0.50523 0.84689 -0.94570  O5 1.417, C10 1.306
4 O 3.31783 -5.32270 -1.03521  C6 1.355, H24 0.962
5 O 0.68783 1.36643 -1.50608  N3 1.417, C13 1.426
6 C 4.25094 -4.34850 -1.15963  O1 1.230, O4 1.355, C14 1.517
7 C 0.06931 4.33838 -0.02145  N2 1.303, N11 1.379, H25 1.069
8 C -0.88470 5.47598 1.53619  N2 1.405, C9 1.376, H26 1.100
9 C -0.83092 4.16820 1.96079  C8 1.376, N11 1.344, H27 1.098
10 C -0.79793 1.13722 0.29325  N3 1.306, C12 1.518, C23 1.515
11 N -0.25502 3.44959 0.98172  C7 1.379, C9 1.344, C12 1.476
12 C 0.12444 2.02848 1.10520  C10 1.518, N11 1.476, H28 1.096, H29 1.110
13 C 1.20743 0.64189 -2.61837  O5 1.426, C15 1.532, H30 1.099, H31 1.093
14 C 3.74957 -3.05092 -1.76401  C6 1.517, C16 1.518, H32 1.099, H33 1.080
15 C 1.88699 -0.67659 -2.23549  C13 1.532, C17 1.528, H34 1.090, H35 1.089
16 C 3.70637 -1.87231 -0.80770  C14 1.518, C17 1.566, H36 1.102, H37 1.099
17 C 3.17407 -0.53508 -1.42410  C15 1.528, C16 1.566, H38 1.106, H39 1.110
18 C -4.04076 -1.12163 2.05833  C19 1.539, C20 1.536, H40 1.102, H41 1.090
19 C -4.46758 0.04518 1.14932  C18 1.539, C21 1.557, H42 1.074, H43 1.104
20 C -2.94271 -1.94928 1.37373  C18 1.536, C22 1.534, H44 1.106, H45 1.113
21 C -3.33901 0.62466 0.24674  C19 1.557, C23 1.577, H46 1.084, H47 1.090
22 C -1.67593 -1.09865 1.21369  C20 1.534, C23 1.581, H48 1.101, H49 1.113
23 C -1.95455 0.43921 0.97842  C10 1.515, C21 1.577, C22 1.581, H50 1.081
24 H 3.78199 -6.09225 -0.69068  O4 0.962
25 H 0.60211 4.08551 -0.91352  C7 1.069
26 H -1.36825 6.29102 2.09500  C8 1.100
27 H -1.23029 3.81237 2.91940  C9 1.098
28 H 0.06260 1.77593 2.16953  C12 1.096
29 H 1.19037 1.92955 0.81267  C12 1.110
30 H 1.85507 1.33755 -3.17066  C13 1.099
31 H 0.36948 0.43726 -3.28991  C13 1.093
32 H 4.37308 -2.79932 -2.63382  C14 1.099
33 H 2.74454 -3.22964 -2.11580  C14 1.080
34 H 2.13469 -1.23057 -3.14101  C15 1.090
35 H 1.11381 -1.18617 -1.66309  C15 1.089
36 H 3.02869 -2.17151 0.00761  C16 1.102
37 H 4.70532 -1.71190 -0.37838  C16 1.099
38 H 2.99046 0.16567 -0.58825  C17 1.106
39 H 3.96179 -0.16042 -2.10994  C17 1.110
40 H -4.93012 -1.74232 2.25649  C18 1.102
41 H -3.72757 -0.74962 3.03387  C18 1.090
42 H -5.26737 -0.25068 0.49642  C19 1.074
43 H -4.78969 0.89047 1.78209  C19 1.104
44 H -3.35919 -2.26465 0.39937  C20 1.106
-- stop --
11. Yu-tiv weaned Hog when he was three years old, and, on the day following, the voice of God came to Brahma, saying: Brahma! Brahma! And Brahma said: Here am I, O Eolin. And the Father said: Be thou faithful another eighteen years! I shall be with thee to the end!
12. Brahma was so delighted, he ran home and told Yu-tiv, but she rejoiced not; she made no answer. Silently she looked upward for a long while, and then she said: Eighteen years! Hog will be twenty-one. And thou and I will be old.